Ontwa Township approves Complete Streets budget

Published 8:10 am Thursday, April 12, 2018

ONTWA TOWNSHIP— Monday’s meeting of the Ontwa Township Board of Trustees approved the Complete Streets budget amendment for the addition of pedestrian and bike lanes spanning from Claire Street to the Edwardsburg Sports Complex, with a new contribution of an additional $258,260.

Complete Streets is a program in which streets are designed and operated to enable safe access for all users, including pedestrians, bicyclists, motorists and transit riders. In enabling this project, bike lanes and pedestrian lanes will be added to the stretch of road between Edwardsburg High School and the Edwardsburg Sports Complex.

(Quantum chemistry results that have nothing to do with the piece)
- - -
Molecular formula: C7H12N2
Method: DFT, ωB97M-V with the def2-TZVPD basis set

Spin multiplicity = 1
E = -10427.6593 eV
Energy above the lowest of the compared OMol25 structures with the same formula, charge and spin = 5.818 eV

Last column: Löwdin charge in e.
Cartesian coordinates (Å):
1 C -0.086 1.549 -0.979  -0.390
2 C -0.744 0.317 -1.651  -0.069
3 C -0.158 0.238 -0.249  -0.516
4 C 0.879 -0.883 -0.274  -0.086
5 C 0.518 -1.308 1.175  -0.278
6 C -1.024 -1.541 1.133  -0.044
7 C 0.119 -0.060 1.976  -0.120
8 H 1.501 2.465 -0.567  0.098
9 H 0.837 2.654 -2.216  0.152
10 H -0.991 2.322 -0.853  0.176
11 H -1.906 0.008 -1.548  0.148
12 H -0.272 -0.418 -2.397  0.114
13 H 1.974 -0.561 -0.629  0.160
14 H 0.314 -1.672 -0.913  0.112
15 H 1.397 -1.798 1.624  0.120
16 H -1.192 -2.078 0.140  0.116
17 H -1.572 -1.953 2.027  0.130
18 H -0.299 -0.234 2.867  0.067
19 H 0.497 0.969 1.790  0.134
20 N 1.142 1.962 -1.396  0.026
21 N -0.933 0.022 0.939  -0.050

---

Molecular formula: C7H12N2
Method: DFT, ωB97M-V with the def2-TZVPD basis set

⟨S²⟩ = 2.014
Spin multiplicity = 3
E = -10427.1244 eV
Energy above the lowest of the compared OMol25 structures with the same formula, charge and spin = 0.888 eV

Last column: Mulliken spin population.
Cartesian coordinates (Å):
1 C 0.664 -1.853 0.580  -0.037
2 C 0.435 -0.538 0.321  0.498
3 C -1.454 -0.215 -0.362  0.885
4 C -2.154 0.935 0.420  0.018
5 C -2.175 -1.500 -0.446  0.004
6 C 1.277 1.784 0.093  0.011
7 C 2.676 -0.026 -0.420  0.013
8 N 0.490 -2.967 0.867  0.284
9 N 1.378 0.367 0.147  0.191
10 H -1.472 1.720 0.561  -0.005
11 H -2.949 1.130 -0.230  0.004
12 H -2.380 0.402 1.304  0.040
13 H -2.200 -2.090 0.501  0.049
14 H -1.682 -2.233 -1.137  0.024
15 H -3.290 -1.175 -0.699  0.005
16 H 0.931 2.119 -0.967  0.005
17 H 0.574 2.188 0.718  -0.010
18 H 2.284 2.190 0.392  0.003
19 H 3.488 0.445 0.163  0.003
20 H 2.845 -1.110 -0.244  0.009
21 H 2.715 0.429 -1.561  0.007

---

Molecular formula: C7H12N2O2
Method: DFT, ωB97M-V with the def2-TZVPD basis set

Spin multiplicity = 1
E = -14525.7287 eV
SMILES string = [H]/N=C1\NOC(=O)[C@H]1[C@@H](C)CC
Energy above the lowest of the compared OMol25 structures with the same formula, charge and spin = 4.061 eV

Last column: Löwdin charge in e.
Cartesian coordinates (Å):
1 H 2.033 2.772 1.676  0.042
2 N 1.359 2.367 1.055  0.160
3 C 1.685 1.283 0.508  -0.453
4 N 2.912 0.667 0.677  0.067
5 O 3.133 -0.051 -0.500  0.037
6 C 1.906 -0.114 -1.218  -0.352
7 O 1.706 -0.824 -2.202  0.113
8 C 0.806 0.669 -0.521  -0.087
9 C -0.382 -0.353 0.045  -0.223
10 C -0.840 -0.287 1.533  -0.055
11 C -1.662 -0.255 -0.896  -0.220
12 C -2.536 -1.484 -0.813  -0.106
13 H 3.626 1.205 1.161  0.157
14 H 0.470 1.534 -1.122  0.169
15 H 0.217 -1.276 -0.044  0.133
16 H -1.480 -1.115 1.820  0.071
17 H -1.336 0.629 1.650  0.063
18 H -0.069 -0.296 2.240  0.052
19 H -1.214 -0.250 -1.903  0.106
20 H -2.295 0.652 -0.806  0.125
21 H -3.303 -1.328 -1.393  0.002
22 H -1.978 -2.414 -1.213  0.116
23 H -2.760 -1.731 0.266  0.084

---
- - -

About a mile and a half long and 10 feet wide, the concrete path for bikers and pedestrians will begin at Claire Street and end at the Edwardsburg Sports Complex. Currently, Edwardsburg High School runners use the sports complex to practice and host events, but are running down U.S. 12 and crossing when parallel to the sports complex. The addition of pedestrian lanes will provide them a safer route and easier access to the facility.

Data records, as found in the file =
┌──
Computed, not measured: 11 unconnected molecules or ions with the total composition C23H47NO41S10 at a distorted geometry, with ωB97M-V/def2-TZVPD.

Positions of all 122 atoms, in Å:
C 8.65436 10.55144 5.67402
C 9.87320 10.49558 6.61519
O 10.87918 10.02121 5.75080
S 10.77902 10.66688 4.26787
O 10.98623 9.66734 3.26007
O 11.54072 11.88552 4.23361
O 9.18046 10.98740 4.42833
H 7.96230 11.32146 6.01395
H 8.16562 9.58190 5.60149
H 9.63881 9.78957 7.40897
H 10.12481 11.45149 7.07453
C 12.03546 4.92941 11.90602
C 12.87250 5.94408 11.13975
O 12.20411 7.16299 11.32868
S 11.69521 7.25246 12.90897
O 10.33952 7.70783 13.01749
O 12.72769 7.91568 13.65350
O 11.80373 5.64879 13.11514
H 12.63296 4.04969 12.13381
H 11.08633 4.66196 11.44154
H 13.02084 5.73952 10.08047
H 13.87048 6.02777 11.58494
C 8.16635 7.51668 10.64938
C 7.37680 8.24110 9.57708
O 6.06971 7.85124 9.91730
S 6.00857 6.27518 10.24038
O 5.91750 5.52498 9.00893
O 5.05368 6.00885 11.25542
O 7.55670 6.24420 10.80590
H 8.09988 7.96120 11.64563
H 9.22800 7.53407 10.39422
H 7.63630 8.00043 8.54276
H 7.63111 9.29232 9.72084
C 5.32432 11.32867 8.23614
C 4.98778 11.72386 6.77327
O 5.21477 10.52380 6.08567
S 4.53239 9.31103 6.90325
O 5.21694 8.09574 6.57328
O 3.11119 9.40765 6.73167
O 5.04104 9.92384 8.34845
H 4.75602 11.92342 8.95280
H 6.35247 11.56932 8.51283
H 5.62838 12.52379 6.42049
H 3.90891 11.89974 6.75164
C 7.22370 13.77322 12.67296
C 7.23462 13.79673 11.11739
O 7.35166 12.40972 10.75810
S 7.98751 11.52886 11.96681
O 9.24245 10.91006 11.62322
O 6.97606 10.63856 12.46723
O 8.18439 12.78351 12.96676
H 6.29151 13.40275 13.10761
H 7.47182 14.75482 13.06730
H 7.97449 14.40718 10.60521
H 6.25535 14.13801 10.77860
C 2.33353 7.27690 12.64472
C 2.24774 7.99964 14.01232
O 0.85448 8.24451 14.12787
S 0.17048 8.55251 12.67456
O 0.14660 9.98888 12.55602
O -1.00144 7.74531 12.48493
O 1.37483 7.89169 11.79191
H 2.02881 6.23475 12.76998
H 3.29479 7.26163 12.14050
H 2.86002 8.89711 13.91479
H 2.55022 7.32094 14.80272
C 1.87006 6.72514 7.75634
C 2.73241 6.97064 8.97111
O 2.55566 5.91398 9.91115
S 1.93583 4.64867 9.16136
O 1.03014 3.92206 9.98602
O 2.97757 3.96574 8.42650
O 1.08830 5.56954 8.11933
H 2.43652 6.59910 6.83529
H 1.16855 7.54269 7.60602
H 2.48911 7.90935 9.46121
H 3.78721 6.86819 8.70490
C 8.87807 4.85116 6.00196
C 7.83546 6.00296 6.02191
O 8.63140 7.20011 6.13288
S 10.22492 6.93641 6.14295
O 10.79676 7.59331 7.27900
O 10.72445 7.05351 4.82174
O 10.09834 5.37682 6.57174
H 8.98245 4.50043 4.97733
H 8.75440 4.04955 6.72719
H 7.11541 5.94325 6.83026
H 7.46316 6.00716 5.00085
C 6.50606 1.49229 6.47410
C 5.74782 2.77097 6.79906
O 6.11481 3.65449 5.71931
S 6.14920 2.83570 4.28792
O 7.15782 3.35889 3.41630
O 4.83202 2.63010 3.75540
O 6.60252 1.49921 5.05772
H 6.07847 0.52089 6.71365
H 7.54089 1.51872 6.82770
H 6.03606 3.29580 7.70621
H 4.66029 2.70538 6.76576
C 5.95532 9.37362 15.18873
C 6.64622 8.63788 16.33982
O 6.31294 7.27500 16.18247
S 6.10865 6.88259 14.63006
O 5.15478 5.82732 14.46844
└──

Since 2015, $25,000 per year has been set aside in a restricted account for Complete Streets. Including this year’s contribution of $25,000, the current total stands at $100,000, with plans to continue to add money until the project is started. Construction is scheduled to begin in late summer to early fall of 2018.

An additional $258,260 can now be accounted for, with funding from a Congestion Mitigation Air Quality federal grant of $148,260, $50,000 from the Edwardsburg Sports Complex, and $60,000 from Complete Streets funding. All members approved the budget amendment.

What comes next are quantum chemistry results, not part of the text =
********
Record 1
Density functional theory data (the ωB97M-V functional and the def2-TZVPD basis) for 2 unconnected molecules or ions with the total composition C4H12NO2.

Last column: natural (NBO) charge in e.
Atoms and positions in Å:
C  -1.24401  -0.24970  -1.43636  -0.659
C  -0.89067  -0.18944  0.01762  -0.017
C  0.11828  -1.12814  0.63983  -0.552
C  1.56177  -0.66223  0.47670  0.463
O  2.02048  0.32832  0.96648  -0.495
N  -2.16826  -0.40565  0.86098  -0.673
H  -2.15362  0.32074  -1.63474  0.226
H  -1.30835  -1.21793  -1.93021  0.238
H  -0.46859  0.23865  -1.95974  0.281
H  -0.60244  0.82771  0.27130  0.249
H  0.06921  -2.13632  0.21979  0.236
H  -0.06857  -1.31125  1.69934  0.239
H  2.17671  -1.27852  -0.20386  0.137
H  -2.41047  -1.39572  0.85402  0.435
H  -2.97272  0.12019  0.51959  0.444
H  -1.95884  -0.12457  1.81678  0.442
H  1.27079  2.61067  -1.77636  0.489
H  1.61893  2.07554  -0.40739  0.491
O  1.08653  1.87178  -1.18280  -0.974

Forces on the atoms, in the same order (eV/Å):
C -0.37 -0.42 -0.29
C -0.66 0.33 0.99
C 0.59 -1.05 -0.27
C 0.37 0.06 -0.67
O -0.40 0.03 0.37
N 0.22 -0.07 -0.22
H 0.01 -0.03 -0.01
H -0.26 -0.35 0.55
H 0.92 0.78 -0.57
H 0.04 0.17 -0.12
H -0.19 0.07 -0.32
H 0.06 0.49 0.22
H 0.01 -0.08 0.17
H -0.15 -0.07 0.07
H 0.03 0.10 -0.05
H -0.23 -0.03 0.16
H -0.12 -0.13 -0.09
H 0.14 -0.14 0.14
O -0.01 0.35 -0.09

Calculated values
**Net charge**: +1
**Energy above the lowest of the compared OMol25 structures with the same formula, charge and spin**: 1.504 eV


Record 2
Density functional theory data (the ωB97M-V functional and the def2-TZVPD basis) for C5H7NO3 in the gas phase.

Last column: natural (NBO) charge in e.
Atoms and positions in Å:
C  -2.62401  -0.38108  -1.06065  -0.151
C  -1.49028  -0.42539  -0.66528  -0.067
C  -0.08517  -0.75853  -0.49782  0.392
C  0.47797  1.46418  0.89191  -0.110
C  0.68711  -0.02079  0.70707  0.295
N  1.26545  -0.71226  1.58273  -0.633
O  0.66084  -0.29464  -1.62971  -0.723
O  0.13105  -2.11060  -0.41207  -0.703
O  0.69772  2.29007  -0.17262  -0.728
H  -3.59569  -0.30884  -1.09409  0.209
H  1.13593  1.70765  1.71752  0.178
H  -0.67072  1.39344  1.17268  0.176
H  1.72456  -0.17337  2.26667  0.344
H  0.81631  -1.03770  -2.19679  0.498
H  0.08971  -2.46622  0.49273  0.512
H  0.77922  1.83410  -1.10228  0.511

Forces on the atoms, in the same order (eV/Å):
C 4.55 -0.08 1.26
C -0.57 -0.26 -0.63
C 2.69 0.90 1.17
C -2.07 -2.11 -0.02
C -1.09 -0.04 -0.26
N -0.76 -1.78 -1.47
O -0.44 0.83 0.67
O -0.33 -1.06 -0.19
O 0.49 0.18 -3.46
H -4.60 0.37 -0.63
H -0.31 0.64 0.34
H 1.90 0.89 -0.02
H 0.66 0.92 1.03
H 0.06 -0.78 -0.53
H 0.19 0.63 -0.19
H -0.36 0.77 2.94

Calculated values
**Net charge**: 0
**Energy above the lowest of the compared OMol25 structures with the same formula, charge and spin**: 4.934 eV
**SMILES string**: [H]/N=C(\CO)C(O)(O)C#C


No. 1
A single C7H8N4O molecule in a non-equilibrium geometry, computed with ωB97M-V with the def2-TZVPD basis set.

Properties
LUMO energy (eV): -0.338
********
The quantum chemistry results stop here =

Clerk Tina VanBelle announced the resolution to renew the previously adopted annual ambulance millage for upkeep of service and overall maintenance. This renewal will come with no tax changes because of the nature of a renewal. Edwardsburg Ambulance Service has reached its 50th year of service, making it the oldest ambulance service in the state. Decals for trucks will be dispersed to celebrate this honor.

Local Girl Scouts spoke in support of implementing two to three blood drives per year through the Medical Foundation of South Bend. The program would travel to Edwardsburg for each event, making it more accessible to locals native to southwestern Michigan. Participants must be at least 16 years of age with parental permission, or 17 or older without permission.

Girl Scouts would run the blood drive and provide light refreshments and snacks, including their famous Girl Scout cookies. The board will sit down with the local troop leader to determine dates and times.

State Representative Dave Pagel spoke to the board and its audience to inform them of his future plans to run for State Senate. Pagel is in his final term as State Representative, having served three two-year terms.